Entries.
# 1
This record from Alexandria via LeMat-Bulk describes a relaxed structure of PrZn2GaPd. The functional is GGA-PBE.

Cell lengths 4.075, 4.351, 6.235 Å; angles 110.42, 109.07, 90.00 degrees
Fractional coordinates of all 5 atoms:
1 Pr 0.442 0.442 0.883
2 Zn 0.697 0.197 0.394
3 Zn 0.058 0.058 0.115
4 Ga 0.827 0.827 0.655
5 Pd 0.188 0.688 0.377

Values from the calculation:
density of states at the Fermi level = 3.3 states/eV/cell
total DFT energy (no corrections) = -3.632 eV per atom
space-group type = Imm2
ΔH_f (0 K) = -0.522 eV per atom


# 2
This record from Alexandria via LeMat-Bulk describes a relaxed structure of Pr2Zn2GaPd5. The functional is GGA-PBE.

Cell lengths 3.738, 9.946, 9.946 Å; angles 90.00, 90.00, 90.00 degrees
Fractional coordinates of all 20 atoms:
1 Pr 0.000 0.678 0.178
2 Pr 0.000 0.322 0.822
3 Pr 0.000 0.178 0.322
4 Pr 0.000 0.822 0.678
5 Zn 0.000 0.121 0.621
6 Zn 0.000 0.879 0.379
7 Zn 0.000 0.621 0.879
8 Zn 0.000 0.379 0.121
9 Ga 0.000 0.000 0.000
10 Ga 0.000 0.500 0.500
11 Pd 0.500 0.202 0.060
12 Pd 0.500 0.798 0.940
13 Pd 0.500 0.060 0.798
14 Pd 0.500 0.702 0.440
15 Pd 0.500 0.940 0.202
16 Pd 0.500 0.298 0.560
17 Pd 0.500 0.560 0.702
18 Pd 0.500 0.440 0.298
19 Pd 0.500 0.500 0.000
20 Pd 0.500 0.000 0.500

Values from the calculation:
density of states at the Fermi level = 9.5 states/eV/cell
total DFT energy (no corrections) = -4.742 eV per atom
space-group type = P4/mbm
ΔH_f (0 K) = -0.632 eV per atom


# 3
This record from Alexandria via LeMat-Bulk describes a relaxed structure of Pr2Zn4GaPd3. The functional is GGA-PBE.

Cell lengths 4.090, 4.090, 11.631 Å; angles 90.00, 90.00, 90.00 degrees
Fractional coordinates of all 10 atoms:
1 Pr 0.500 0.000 0.248
2 Pr 0.000 0.500 0.752
3 Zn 0.500 0.500 0.000
4 Zn 0.000 0.000 0.000
5 Zn 0.500 0.000 0.637
6 Zn 0.000 0.500 0.363
7 Ga 0.500 0.500 0.500
8 Pd 0.000 0.000 0.500
9 Pd 0.500 0.000 0.859
10 Pd 0.000 0.500 0.141

Values from the calculation:
density of states at the Fermi level = 6.3 states/eV/cell
total DFT energy (no corrections) = -3.892 eV per atom
space-group type = P-4m2
ΔH_f (0 K) = -0.566 eV per atom
Job.
Print everything earlier on without altering anything, please.
Reply.
# 1
This record from Alexandria via LeMat-Bulk describes a relaxed structure of PrZn2GaPd. The functional is GGA-PBE.

Cell lengths 4.075, 4.351, 6.235 Å; angles 110.42, 109.07, 90.00 degrees
Fractional coordinates of all 5 atoms:
1 Pr 0.442 0.442 0.883
2 Zn 0.697 0.197 0.394
3 Zn 0.058 0.058 0.115
4 Ga 0.827 0.827 0.655
5 Pd 0.188 0.688 0.377

Values from the calculation:
density of states at the Fermi level = 3.3 states/eV/cell
total DFT energy (no corrections) = -3.632 eV per atom
space-group type = Imm2
ΔH_f (0 K) = -0.522 eV per atom


# 2
This record from Alexandria via LeMat-Bulk describes a relaxed structure of Pr2Zn2GaPd5. The functional is GGA-PBE.

Cell lengths 3.738, 9.946, 9.946 Å; angles 90.00, 90.00, 90.00 degrees
Fractional coordinates of all 20 atoms:
1 Pr 0.000 0.678 0.178
2 Pr 0.000 0.322 0.822
3 Pr 0.000 0.178 0.322
4 Pr 0.000 0.822 0.678
5 Zn 0.000 0.121 0.621
6 Zn 0.000 0.879 0.379
7 Zn 0.000 0.621 0.879
8 Zn 0.000 0.379 0.121
9 Ga 0.000 0.000 0.000
10 Ga 0.000 0.500 0.500
11 Pd 0.500 0.202 0.060
12 Pd 0.500 0.798 0.940
13 Pd 0.500 0.060 0.798
14 Pd 0.500 0.702 0.440
15 Pd 0.500 0.940 0.202
16 Pd 0.500 0.298 0.560
17 Pd 0.500 0.560 0.702
18 Pd 0.500 0.440 0.298
19 Pd 0.500 0.500 0.000
20 Pd 0.500 0.000 0.500

Values from the calculation:
density of states at the Fermi level = 9.5 states/eV/cell
total DFT energy (no corrections) = -4.742 eV per atom
space-group type = P4/mbm
ΔH_f (0 K) = -0.632 eV per atom


# 3
This record from Alexandria via LeMat-Bulk describes a relaxed structure of Pr2Zn4GaPd3. The functional is GGA-PBE.

Cell lengths 4.090, 4.090, 11.631 Å; angles 90.00, 90.00, 90.00 degrees
Fractional coordinates of all 10 atoms:
1 Pr 0.500 0.000 0.248
2 Pr 0.000 0.500 0.752
3 Zn 0.500 0.500 0.000
4 Zn 0.000 0.000 0.000
5 Zn 0.500 0.000 0.637
6 Zn 0.000 0.500 0.363
7 Ga 0.500 0.500 0.500
8 Pd 0.000 0.000 0.500
9 Pd 0.500 0.000 0.859
10 Pd 0.000 0.500 0.141

Values from the calculation:
density of states at the Fermi level = 6.3 states/eV/cell
total DFT energy (no corrections) = -3.892 eV per atom
space-group type = P-4m2
ΔH_f (0 K) = -0.566 eV per atom